**Input**
/*
An optimized crystal structure of CoB3W3, computed with PBE-GGA.

Values from the calculation:
DFT total energy ... -276.50 eV for the cell shown

a b c (Å): 3.1873 8.4799 10.8045
angles (deg): 90.00 90.00 90.00
Last column: nearest neighbours and their distance in Å.
Space group Cmcm (No. 63)
Symmetry-distinct sites (fractional):
Co1 0.0000 0.0000 0.0000 [4 per cell]  4 B 2.07
B1 0.0000 0.2908 0.2500 [4 per cell]  2 B 1.90
B2 0.0000 0.4139 0.1027 [8 per cell]  1 B 1.90, 2 Co 2.07
W1 0.0000 0.0023 0.7500 [4 per cell]  7 B 2.36-2.49
W2 0.0000 0.2886 0.6069 [8 per cell]  6 B 2.32-2.52

***

An optimized crystal structure of CoB2W2, computed with PBE-GGA.

Values from the calculation:
DFT total energy ... -97.36 eV for the cell shown

a b c (Å): 3.1871 4.5810 7.1182
angles (deg): 90.00 90.00 90.00
Last column: nearest neighbours and their distance in Å.
Space group Immm (No. 71)
Symmetry-distinct sites (fractional):
Co1 0.0000 0.0000 0.0000 [2 per cell]  4 B 2.09
B1 0.0000 0.2049 0.5000 [4 per cell]  1 B 1.88, 2 Co 2.09
W1 0.0000 0.5000 0.2004 [4 per cell]  6 B 2.34-2.52

***

Question: Look up the DFT total energy of the first one.
Answer: -276.50 eV for the cell shown

***

Question: What is the DFT total energy in the second record?
Answer: -97.36 eV for the cell shown

----------

Entry 1:
The following is a DFT calculation (r²SCAN) of a relaxed CsFeBr4 crystal.

Lattice parameters (Å, degrees): 7.524 10.027 12.390 90.00 90.00 90.00
Atoms (fractional coordinates):
Br (0.250, 0.034, 0.202)
Fe (0.750, 0.692, 0.437)
Br (0.001, 0.671, 0.916)
Cs (0.750, 0.158, 0.318)
Br (0.250, 0.100, 0.891)
Br (0.999, 0.329, 0.084)
Br (0.001, 0.829, 0.416)
Br (0.750, 0.966, 0.798)
Br (0.499, 0.671, 0.916)
Br (0.501, 0.171, 0.584)
Br (0.250, 0.400, 0.391)
Br (0.750, 0.600, 0.609)
Cs (0.750, 0.342, 0.818)
Br (0.501, 0.329, 0.084)
Br (0.750, 0.900, 0.109)
Cs (0.250, 0.842, 0.682)
Br (0.750, 0.534, 0.298)
Fe (0.250, 0.308, 0.563)
Br (0.250, 0.466, 0.702)
Fe (0.250, 0.192, 0.063)
Br (0.999, 0.171, 0.584)
Fe (0.750, 0.808, 0.937)
Cs (0.250, 0.658, 0.182)
Br (0.499, 0.829, 0.416)

Summary:
DFT formation energy, eV/atom: -1.241
Magnetization, μB per cell: 20.00
Symmetry: No. 62


Entry 2:
The following is a DFT calculation (r²SCAN) of a relaxed CsGaBr4 crystal.

Lattice parameters (Å, degrees): 7.571 10.036 12.281 90.00 90.00 90.00
Atoms (fractional coordinates):
Br (0.750, 0.421, 0.094)
Br (0.998, 0.168, 0.917)
Ga (0.750, 0.192, 0.429)
Cs (0.750, 0.829, 0.819)
Br (0.750, 0.050, 0.279)
Br (0.002, 0.668, 0.583)
Ga (0.250, 0.692, 0.071)
Br (0.750, 0.079, 0.594)
Cs (0.250, 0.329, 0.681)
Cs (0.750, 0.671, 0.319)
Br (0.250, 0.550, 0.221)
Br (0.502, 0.332, 0.417)
Br (0.498, 0.668, 0.583)
Br (0.750, 0.450, 0.779)
Br (0.002, 0.832, 0.083)
Ga (0.250, 0.808, 0.571)
Br (0.250, 0.921, 0.406)
Br (0.250, 0.579, 0.906)
Cs (0.250, 0.171, 0.181)
Br (0.998, 0.332, 0.417)
Br (0.498, 0.832, 0.083)
Br (0.250, 0.950, 0.721)
Ga (0.750, 0.308, 0.929)
Br (0.502, 0.168, 0.917)

Summary:
DFT formation energy, eV/atom: -1.422
Magnetization, μB per cell: 0.00
Symmetry: No. 62


Entry 3:
The following is a DFT calculation (r²SCAN) of a relaxed CsGeBr3 crystal.

Lattice parameters (Å, degrees): 5.668 5.668 5.668 88.90 88.90 88.90
Atoms (fractional coordinates):
Br (0.505, 0.029, 0.505)
Ge (0.477, 0.477, 0.477)
Cs (0.001, 0.001, 0.001)
Br (0.029, 0.505, 0.505)
Br (0.505, 0.505, 0.029)

Summary:
DFT formation energy, eV/atom: -1.242
Magnetization, μB per cell: 0.00
Symmetry: No. 160


Entry 4:
The following is a DFT calculation (r²SCAN) of a relaxed CsGeBr3 crystal.

Lattice parameters (Å, degrees): 5.533 5.533 5.533 90.00 90.00 90.00
Atoms (fractional coordinates):
Br (0.500, 0.000, 0.500)
Br (0.500, 0.500, 0.000)
Br (0.000, 0.500, 0.500)
Cs (0.000, 0.000, 0.000)
Ge (0.500, 0.500, 0.500)

Summary:
DFT formation energy, eV/atom: -1.225
Magnetization, μB per cell: 0.00
Symmetry: No. 221


Entry 5:
The following is a DFT calculation (r²SCAN) of a relaxed CsHf2Br9 crystal.
*/
**Work order**
The reader should repeat every line further up that contains the word "CsHf2Br9".
**Reply**
The following is a DFT calculation (r²SCAN) of a relaxed CsHf2Br9 crystal.